What to do:
It remains to return the listing below from the first line to the one with "5.51 0.46" with every line break kept.

Data:
/*
Entry one
Entry from the OMol25 dataset: a 15-piece molecular cluster, C45H105N15O15 overall (the ωB97M-V functional and the def2-TZVPD basis).

```
180
Properties=species:S:1:pos:R:3:mulliken_charge:R:1
C -0.29 4.86 1.64 -0.229
O -1.06 5.42 0.84 -0.474
N 1.06 4.68 1.45 0.194
C 1.80 3.72 2.29 -0.967
C 1.64 4.96 0.12 -0.747
H -0.70 4.49 2.59 0.506
H 1.26 3.47 3.21 0.302
H 2.74 4.16 2.64 0.371
H 2.05 2.78 1.79 0.266
H 2.72 5.04 0.17 0.373
H 1.39 4.25 -0.68 0.144
H 1.28 5.90 -0.31 0.232
C -5.88 -0.97 3.90 -0.180
O -5.45 -0.24 3.00 -0.503
N -5.08 -1.88 4.54 0.392
C -5.67 -2.71 5.57 -1.124
C -3.67 -2.04 4.20 -0.838
H -6.90 -0.89 4.33 0.348
H -6.00 -2.15 6.44 0.383
H -5.10 -3.60 5.84 0.338
H -6.67 -2.97 5.22 0.381
H -3.39 -1.46 3.32 -0.056
H -3.05 -1.75 5.04 0.285
H -3.54 -3.08 3.91 0.526
C -0.54 -3.24 -4.96 0.131
O -1.44 -3.57 -4.15 -0.598
N 0.78 -3.44 -4.67 0.265
C 1.89 -3.12 -5.55 -0.566
C 1.24 -3.88 -3.37 -0.681
H -0.62 -2.78 -5.96 -0.053
H 2.62 -2.49 -5.03 0.171
H 1.61 -2.71 -6.52 0.052
H 2.53 -3.99 -5.67 0.390
H 1.89 -4.73 -3.54 0.417
H 1.81 -3.15 -2.81 0.187
H 0.38 -4.16 -2.76 0.023
C -1.71 2.78 6.42 0.169
O -1.60 3.81 5.71 -0.625
N -2.85 2.04 6.44 0.131
C -2.85 0.78 7.21 -0.506
C -4.03 2.17 5.57 -0.761
H -0.94 2.47 7.13 0.372
H -3.26 -0.01 6.57 -0.159
H -3.62 0.81 7.98 0.332
H -1.95 0.46 7.74 0.364
H -4.26 1.25 5.03 0.152
H -4.85 2.66 6.10 0.327
H -3.82 2.93 4.82 0.262
C -0.26 0.44 1.40 0.015
O -0.89 1.45 1.78 -0.481
N 0.19 0.22 0.13 0.898
C 0.72 -1.04 -0.37 -0.110
C 0.07 1.21 -0.96 -0.657
H -0.02 -0.47 1.98 0.084
H 0.98 -1.81 0.36 -0.414
H 1.63 -0.95 -0.97 -0.236
H 0.00 -1.64 -0.92 0.509
H -0.15 0.72 -1.91 0.494
H -0.70 1.95 -0.72 -0.275
H 0.98 1.79 -1.08 0.157
C 2.52 0.49 -3.84 0.575
O 1.62 0.11 -4.64 -0.573
N 3.26 1.55 -4.08 0.245
C 4.29 1.86 -3.08 -0.727
C 3.21 2.38 -5.34 -0.696
H 2.74 0.05 -2.86 -0.114
H 4.31 2.90 -2.75 0.364
H 5.26 1.64 -3.53 0.394
H 4.27 1.35 -2.12 -0.014
H 4.11 2.22 -5.93 0.320
H 2.27 2.22 -5.86 -0.028
H 3.14 3.43 -5.06 0.352
C -0.35 -3.71 5.43 0.106
O -1.00 -3.37 6.42 -0.645
N 0.45 -2.78 4.85 0.427
C 1.10 -3.25 3.67 -1.506
C 0.72 -1.42 5.44 -1.037
H -0.33 -4.69 4.93 0.362
H 0.58 -2.94 2.77 0.369
H 1.29 -4.32 3.65 0.794
H 2.10 -2.82 3.61 0.071
H -0.17 -1.20 6.04 0.343
H 1.62 -1.31 6.04 0.279
H 0.62 -0.71 4.62 0.350
C 4.70 -6.38 5.97 0.060
O 4.74 -6.40 7.20 -0.562
N 4.39 -5.28 5.17 0.216
C 4.44 -5.43 3.71 -0.734
C 4.50 -3.93 5.71 -0.712
H 4.91 -7.36 5.53 0.328
H 5.46 -5.26 3.36 0.396
H 3.82 -4.64 3.28 -0.078
H 4.20 -6.45 3.43 0.429
H 5.36 -3.46 5.23 0.327
H 3.65 -3.38 5.31 0.016
H 4.37 -3.95 6.79 0.341
C -1.61 0.34 -9.33 0.130
O -1.76 -0.27 -10.36 -0.547
N -0.67 0.11 -8.36 0.127
C -0.75 0.98 -7.26 -0.696
C 0.14 -1.10 -8.16 -0.403
H -2.24 1.22 -9.15 0.300
H 0.29 1.24 -7.01 0.011
H -1.25 0.42 -6.47 0.329
H -1.33 1.88 -7.48 0.265
H -0.27 -1.88 -7.51 0.021
H 0.30 -1.57 -9.13 0.338
H 1.14 -0.87 -7.81 0.314
C 4.45 -2.16 -0.10 -0.040
O 3.91 -1.89 -1.27 -0.590
N 4.74 -1.34 0.96 0.382
C 5.61 -1.87 2.02 -1.022
C 4.50 0.05 0.93 -0.494
H 4.79 -3.19 0.12 0.320
H 6.55 -1.41 1.70 0.444
H 5.69 -2.96 2.03 0.260
H 5.28 -1.60 3.02 0.275
H 5.51 0.46 0.90 0.443
H 3.98 0.24 -0.01 -0.307
H 3.87 0.30 1.78 0.290
C -3.19 3.17 -1.04 0.119
O -3.28 2.88 -2.22 -0.653
N -3.72 2.40 -0.03 0.326
C -3.59 2.74 1.41 -0.682
C -4.56 1.19 -0.28 -1.135
H -2.77 4.09 -0.61 0.386
H -4.54 3.14 1.76 0.499
H -2.92 3.57 1.57 0.015
H -3.29 1.83 1.92 0.065
H -5.45 1.07 0.33 0.356
H -5.00 1.19 -1.28 0.344
H -3.94 0.30 -0.24 0.275
C -2.44 -4.40 -1.12 0.054
O -1.72 -5.28 -0.67 -0.591
N -2.92 -3.31 -0.38 0.327
C -2.72 -3.11 1.00 -0.780
C -3.87 -2.42 -0.99 -1.298
H -2.72 -4.29 -2.18 0.331
H -1.92 -3.79 1.30 0.160
H -3.70 -3.29 1.45 0.569
H -2.53 -2.05 1.15 0.145
H -4.33 -2.83 -1.89 0.399
H -4.70 -2.21 -0.32 0.346
H -3.21 -1.60 -1.27 0.421
C 1.41 -6.81 -0.96 0.114
O 2.05 -7.57 -1.67 -0.630
N 1.94 -5.98 -0.02 0.169
C 1.27 -4.95 0.75 -0.578
C 3.38 -5.98 0.17 -0.796
H 0.32 -6.70 -1.02 0.430
H 1.58 -5.00 1.80 0.192
H 0.20 -5.10 0.80 0.450
*/

Result:
Entry one
Entry from the OMol25 dataset: a 15-piece molecular cluster, C45H105N15O15 overall (the ωB97M-V functional and the def2-TZVPD basis).

```
180
Properties=species:S:1:pos:R:3:mulliken_charge:R:1
C -0.29 4.86 1.64 -0.229
O -1.06 5.42 0.84 -0.474
N 1.06 4.68 1.45 0.194
C 1.80 3.72 2.29 -0.967
C 1.64 4.96 0.12 -0.747
H -0.70 4.49 2.59 0.506
H 1.26 3.47 3.21 0.302
H 2.74 4.16 2.64 0.371
H 2.05 2.78 1.79 0.266
H 2.72 5.04 0.17 0.373
H 1.39 4.25 -0.68 0.144
H 1.28 5.90 -0.31 0.232
C -5.88 -0.97 3.90 -0.180
O -5.45 -0.24 3.00 -0.503
N -5.08 -1.88 4.54 0.392
C -5.67 -2.71 5.57 -1.124
C -3.67 -2.04 4.20 -0.838
H -6.90 -0.89 4.33 0.348
H -6.00 -2.15 6.44 0.383
H -5.10 -3.60 5.84 0.338
H -6.67 -2.97 5.22 0.381
H -3.39 -1.46 3.32 -0.056
H -3.05 -1.75 5.04 0.285
H -3.54 -3.08 3.91 0.526
C -0.54 -3.24 -4.96 0.131
O -1.44 -3.57 -4.15 -0.598
N 0.78 -3.44 -4.67 0.265
C 1.89 -3.12 -5.55 -0.566
C 1.24 -3.88 -3.37 -0.681
H -0.62 -2.78 -5.96 -0.053
H 2.62 -2.49 -5.03 0.171
H 1.61 -2.71 -6.52 0.052
H 2.53 -3.99 -5.67 0.390
H 1.89 -4.73 -3.54 0.417
H 1.81 -3.15 -2.81 0.187
H 0.38 -4.16 -2.76 0.023
C -1.71 2.78 6.42 0.169
O -1.60 3.81 5.71 -0.625
N -2.85 2.04 6.44 0.131
C -2.85 0.78 7.21 -0.506
C -4.03 2.17 5.57 -0.761
H -0.94 2.47 7.13 0.372
H -3.26 -0.01 6.57 -0.159
H -3.62 0.81 7.98 0.332
H -1.95 0.46 7.74 0.364
H -4.26 1.25 5.03 0.152
H -4.85 2.66 6.10 0.327
H -3.82 2.93 4.82 0.262
C -0.26 0.44 1.40 0.015
O -0.89 1.45 1.78 -0.481
N 0.19 0.22 0.13 0.898
C 0.72 -1.04 -0.37 -0.110
C 0.07 1.21 -0.96 -0.657
H -0.02 -0.47 1.98 0.084
H 0.98 -1.81 0.36 -0.414
H 1.63 -0.95 -0.97 -0.236
H 0.00 -1.64 -0.92 0.509
H -0.15 0.72 -1.91 0.494
H -0.70 1.95 -0.72 -0.275
H 0.98 1.79 -1.08 0.157
C 2.52 0.49 -3.84 0.575
O 1.62 0.11 -4.64 -0.573
N 3.26 1.55 -4.08 0.245
C 4.29 1.86 -3.08 -0.727
C 3.21 2.38 -5.34 -0.696
H 2.74 0.05 -2.86 -0.114
H 4.31 2.90 -2.75 0.364
H 5.26 1.64 -3.53 0.394
H 4.27 1.35 -2.12 -0.014
H 4.11 2.22 -5.93 0.320
H 2.27 2.22 -5.86 -0.028
H 3.14 3.43 -5.06 0.352
C -0.35 -3.71 5.43 0.106
O -1.00 -3.37 6.42 -0.645
N 0.45 -2.78 4.85 0.427
C 1.10 -3.25 3.67 -1.506
C 0.72 -1.42 5.44 -1.037
H -0.33 -4.69 4.93 0.362
H 0.58 -2.94 2.77 0.369
H 1.29 -4.32 3.65 0.794
H 2.10 -2.82 3.61 0.071
H -0.17 -1.20 6.04 0.343
H 1.62 -1.31 6.04 0.279
H 0.62 -0.71 4.62 0.350
C 4.70 -6.38 5.97 0.060
O 4.74 -6.40 7.20 -0.562
N 4.39 -5.28 5.17 0.216
C 4.44 -5.43 3.71 -0.734
C 4.50 -3.93 5.71 -0.712
H 4.91 -7.36 5.53 0.328
H 5.46 -5.26 3.36 0.396
H 3.82 -4.64 3.28 -0.078
H 4.20 -6.45 3.43 0.429
H 5.36 -3.46 5.23 0.327
H 3.65 -3.38 5.31 0.016
H 4.37 -3.95 6.79 0.341
C -1.61 0.34 -9.33 0.130
O -1.76 -0.27 -10.36 -0.547
N -0.67 0.11 -8.36 0.127
C -0.75 0.98 -7.26 -0.696
C 0.14 -1.10 -8.16 -0.403
H -2.24 1.22 -9.15 0.300
H 0.29 1.24 -7.01 0.011
H -1.25 0.42 -6.47 0.329
H -1.33 1.88 -7.48 0.265
H -0.27 -1.88 -7.51 0.021
H 0.30 -1.57 -9.13 0.338
H 1.14 -0.87 -7.81 0.314
C 4.45 -2.16 -0.10 -0.040
O 3.91 -1.89 -1.27 -0.590
N 4.74 -1.34 0.96 0.382
C 5.61 -1.87 2.02 -1.022
C 4.50 0.05 0.93 -0.494
H 4.79 -3.19 0.12 0.320
H 6.55 -1.41 1.70 0.444
H 5.69 -2.96 2.03 0.260
H 5.28 -1.60 3.02 0.275
H 5.51 0.46 0.90 0.443